Saturday, 22 January 2011

Beatification Report - Bl. John Henry Newman Shrine and Exhibits

As part of its celebrations of the beatification of its founder, Cardinal John Henry Newman , the Birmingham Oratory opened its shrine dedicated to Newman.

The first pilgrim to pray at the shrine was the Holy Father, who visited the Oratory following the beatification Mass. Formerly St Phillip's Chapel, it was refurbished before being rededicated to Newman. The refurbishment was carried out by International Fine Art Conservation Studios and consisted of laying a new floor and some redecoration whilst preserving older decoration in some areas. The new elements echo the Oratory's baroque style and include stencilled designs.

The Shrine contains a number of relics taken from Newman's grave. Over the altar hangs a copy of Walter Ouless's portrait of Newman, the original of which is in the possession of the Oratory.

A considerable amount of work has clearly gone into the detail of the shrine. A particularly nice touch is design of the lamps to resemble a Cardinal's galero.

Since its opening the shrine has played host to many other pilgrims following in the Holy Father’s footsteps. Some have emulated him by admiring another of the Oratory’s increasingly famous residents, Pushkin. Pushkin is a delightful black Persian cat that has risen to fame since he was featured across the media as the recipient of the Pope’s attention and now even gets his own fan mail.

For those able to visit, the shrine is open whenever the Church is, usually before and after Mass, Saturday and Sunday. A pilgrims’ Mass is held in the shrine at 11am on Saturday mornings.

The Birmingham Oratory’s shrine is one of many erected or commissioned over recent months in memory of Newman; these include the London (Brompton) Oratory and Oxford Oratory as well as places as far afield as New York.

Also at the Oratory is a small exhibition of Newman’s personal items (generally only open at weekends). It features information about Newman’s life largely taken from some very effective poster versions of sections from Father Beaumont’s official beatification biography, a very interesting book. Hopefully soon the displays will be augmented with the items from the Newman Exhibition at the Birmingham Museum, as this featured some truly stunning pieces, photographs of which can be seen here.

This is the conclusion to my series of reports about Cardinal John Henry Newman, his beatification and the events that took place as part of its celebration; links to the earlier posts are listed below. As there are already reports of a second miracle being investigated it appears we may reasonably be hopeful that the sequel to this series may be appearing in the not too distant future!

Life of John Henry Newman
Newman and Birmingham Lecture
Cardinal Newman Exhibition
JH Newman and his Biographers, Official Beatification Conference
Performance of The Dream of Gerontius
Beatification of Cardinal Newman
Newman the Authorised Biography


Jackie Parkes MJ said...

Fabulous post..

**Materials data, kept here for reference:**
____________
(1)
The following is a DFT calculation (PBE) of crystalline ZrCrPb at its relaxed geometry.

Cell and atoms, written as extended XYZ:
```
3
Lattice="4.7592 0.0000 0.0000 -2.3796 4.1216 0.0000 0.0000 0.0000 3.2400" Properties=species:S:1:pos:R:3 pbc="T T T"
Zr 0.0000 0.0000 0.0000
Cr 2.3796 1.3739 1.6200
Pb 0.0000 2.7477 1.6200
```

Values from the calculation:
- energy relative to the lowest polymorph listed for this composition (meV per atom) = 43.0
- total energy (eV/f.u.) = -20.978
- energy of formation (eV per atom) = 0.301


(2)
The following is a DFT calculation (PBE) of crystalline AcEu2Sn at its relaxed geometry.

Cell and atoms, written as extended XYZ:
```
16
Lattice="8.1513 0.0000 0.0000 0.0000 8.1513 0.0000 0.0000 0.0000 8.1513" Properties=species:S:1:pos:R:3 pbc="T T T"
Ac 0.0000 0.0000 0.0000
Ac 0.0000 4.0756 4.0756
Ac 4.0756 0.0000 4.0756
Ac 4.0756 4.0756 0.0000
Eu 2.0378 2.0378 2.0378
Eu 2.0378 2.0378 6.1135
Eu 2.0378 6.1135 2.0378
Eu 2.0378 6.1135 6.1135
Eu 6.1135 2.0378 2.0378
Eu 6.1135 2.0378 6.1135
Eu 6.1135 6.1135 2.0378
Eu 6.1135 6.1135 6.1135
Sn 0.0000 0.0000 4.0756
Sn 0.0000 4.0756 0.0000
Sn 4.0756 0.0000 0.0000
Sn 4.0756 4.0756 4.0756
```

Values from the calculation:
- energy relative to the lowest polymorph listed for this composition (meV per atom) = 181.7
- total energy (eV/f.u.) = -29.477
- energy of formation (eV per atom) = -0.204


(3)
The following is a DFT calculation (PBE) of crystalline Th2Mg3Sn2 at its relaxed geometry.

Cell and atoms, written as extended XYZ:
```
14
Lattice="4.4475 0.0000 0.0000 0.0000 21.4772 0.0000 0.0000 0.0000 4.3210" Properties=species:S:1:pos:R:3 pbc="T T T"
Th 0.0000 3.6453 0.0000
Th 0.0000 17.8319 0.0000
Th 2.2237 7.0933 0.0000
Th 2.2237 14.3840 0.0000
Mg 0.0000 0.0000 0.0000
Mg 0.0000 9.2681 2.1605
Mg 0.0000 12.2091 2.1605
Mg 2.2237 1.4705 2.1605
Mg 2.2237 10.7386 0.0000
Mg 2.2237 20.0067 2.1605
Sn 0.0000 6.4081 2.1605
Sn 0.0000 15.0691 2.1605
Sn 2.2237 4.3305 2.1605
Sn 2.2237 17.1468 2.1605
```

Values from the calculation:
- total energy (eV/f.u.) = -28.415
- energy of formation (eV per atom) = -0.112


(4)
The following is a DFT calculation (PBE) of crystalline ScIn2Au at its relaxed geometry.

Cell and atoms, written as extended XYZ:
```
4
Lattice="3.4558 0.0000 0.0000 0.0000 4.3732 0.0000 -1.6073 0.0000 5.9708" Properties=species:S:1:pos:R:3 pbc="T T T"
Sc 0.0000 0.0000 0.0000
In 0.0830 2.1866 4.1591
In 1.7741 0.0000 2.8151
Au 1.7124 2.1866 1.0084
```

Values from the calculation:
- total energy (eV/f.u.) = -16.432
- energy of formation (eV per atom) = -0.337

----------

1.
Below is a relaxed structure of SrPr4S6, with properties calculated at the GGA-PBE level.

a b c (Å): 4.092 7.101 20.889
angles (deg): 90.00 90.00 106.74
Positions (direct):
Sr 0.657 0.315 0.250
Sr 0.343 0.685 0.750
Pr 0.863 0.726 0.542
Pr 0.406 0.811 0.131
Pr 0.137 0.274 0.458
Pr 0.594 0.189 0.869
Pr 0.863 0.726 0.958
Pr 0.137 0.274 0.042
Pr 0.594 0.189 0.631
Pr 0.406 0.811 0.369
S 0.500 0.000 0.000
____________
**The materials data stop here:**

Anonymous said...

Salve Maria!

Sou brasileira e moro no Brasil e desejo acompanhar este Blog, peço que coloquem nele um TRADUTOR, recurso que tem como adicionar ao Blogspot.

Assim ficará muito mais fácil a leitura, havendo um tradutor já na página do blog.


Fiquemos com Deus!

Giovana Cunha.

Semper Eadem said...

Thank you so much for bringing us another phase of the apotheosis of Blessed John H. Newman. The Chapel looks very traditional and just as the Beatus would have found familiar. His great phrase that he would never tire of attending the Mass as it was then celebrated comes readily to my mind.

Blessed John Newman pray for us!

Shandon Belle said...

I was really interested to see these pictures. It's amazing how much about the Oratory in Birmingham reminds me of University Church in St. Stephen's Green.

Anonymous said...

I hope that Oxford hurrys up with the Anthony Delarue design. The present little shrine is a poor substitute. Perhaps it should be the focus of the Canonisation? It would certainly turn Oxford upside-down to who knows what good effect. They will certainly leave Brompton in the ha'penny place!

Jim'll Fix It! said...

Can you identify the images and logos for me please?

Just a Girl said...

Thanks for the comments. I'm glad that this post and the series have been of interest to so many people.

JTS said...

This chapel doesn't look new. What was the previous use? They have made an excellent job of any refurbishment but I think that the perspex covers of the cardinal's hat lamps looks a bit cheap.

Little Brother said...

Correct me if I'm wrong but when the remains of Fr. Faber were exhumed to be buried in the chapel at the London Oratory they found that nothing was left except his shoes. It seems that Oratorians don't last well.

Anonymous said...

Yes, a really lovely post. Where is the Newman shrine in Ireland?

Anonymous said...

I'm guessing thqat the JHN is John Henry Newman and the PN is Philip Neri. The wavy red line and three hearts is obviously the crest of Bl. Newman so the other shield is probably the crest of S. Philip. Two of the figures between the arches look like S. Ignatio Loyola and S. Jude Thaddeus. On the wall under the arches it looks like Bl. Dominic Barberi and Bl. Pius IX.

Anonymous said...

Yes, I always think that it's a pity to rededicate Churches and Chapels. What will poor St. Philip or his devout clients do now?

It's a pity that some other site couldn't have been found for an entirely new Chapel. I think there was enough notice that the Beatification was to take place and if there is one place where we could have been assured of a good job being done in Church building it would be the Oratory.

All the same, it looks great.

Viewer said...

Most interesting post and a most interesting series.

Fitzy said...

Looks really great for such a small church. Dont know much about Newman but when I was in UCD he was talked about a bit. We didnt get much coverage over here of all the stuff going on in the UK. Thanks for bringing it all back to us.

Unknown said...

Lovely pics of the new shrine at the Oratory. The lights actually look very good when you stand in front of them. Just think that Bl John Henry actually knew this part of the Oratory as it was retained from the building he erected.
Can I link you to Newman Chaplets? @

Alyssa said...

This is a really beautiful church and John Newman is a really special saint. You are very blest to be able to go here. We are blest by your pictures and information. It has kept me really close to the events of the ceremonies and all the details of the Pope's visit. He is also a really special gift of God for all of us.

Joyce F.

Deise Girl said...

Is there going to be something to mark Newman in Ireland?